

【作者】 缪娟

[Crystal structures, as found in the file]
____________
1.
# Na5MgAs2
Computed X-ray diffraction stick pattern, λ = 1.5418 Å (Cu Kα). Input: a DFT-relaxed cell (PBE, Alexandria).
Intensities are scaled so that the largest is 100.

Peak list (10 most intense, 15° ≤ 2θ ≤ 90°, in order of falling intensity)
| 2theta | intensity |
| --- | --- |
| 34.04 | 100 |
| 19.50 | 53 |
| 20.07 | 45 |
| 39.96 | 37 |
| 24.43 | 32 |
| 39.55 | 29 |
| 31.48 | 20 |
| 60.93 | 17 |
| 64.93 | 17 |
| 53.26 | 17 |

Atomic structure:
```
16
Lattice="5.2669 0.0000 0.0000 -2.6335 4.5613 0.0000 0.0000 0.0000 18.1693" Properties=species:S:1:pos:R:3 pbc="T T T"
Na 0.0000 0.0000 2.4321
Na 0.0000 0.0000 6.6526
Na 0.0000 0.0000 11.5167
Na 0.0000 0.0000 15.7372
Na 0.0000 3.0409 0.9646
Na 0.0000 3.0409 4.5423
Na 0.0000 3.0409 8.1201
Na 2.6335 1.5204 10.0492
Na 2.6335 1.5204 13.6270
Na 2.6335 1.5204 17.2047
Mg 0.0000 3.0409 13.6270
Mg 2.6335 1.5204 4.5423
As 0.0000 3.0409 11.1005
As 0.0000 3.0409 16.1535
As 2.6335 1.5204 2.0158
As 2.6335 1.5204 7.0688
```

2.
# Pm5Tl8Zn
Computed X-ray diffraction stick pattern, λ = 1.5418 Å (Cu Kα). Input: a DFT-relaxed cell (PBE, Alexandria).
Intensities are scaled so that the largest is 100.

Peak list (10 most intense, 15° ≤ 2θ ≤ 90°, in order of falling intensity)
| 2theta | intensity |
| --- | --- |
| 29.96 | 100 |
| 36.31 | 55 |
| 35.65 | 37 |
| 30.78 | 37 |
| 35.90 | 34 |
| 47.41 | 28 |
| 60.48 | 14 |
| 23.19 | 12 |
| 49.77 | 12 |
| 49.24 | 11 |

Atomic structure:
```
14
Lattice="-4.7223 4.7223 4.5787 4.7223 -4.7223 4.5787 4.7223 4.7223 -4.5787" Properties=species:S:1:pos:R:3 pbc="T T T"
Pm 0.0000 0.0000 0.0000
Pm 3.6802 2.3560 -1.3050
Pm 2.3663 -1.0421 5.8837
Pm 1.0421 2.3663 3.2737
Pm 2.3560 5.7645 1.3050
Tl 6.2656 0.7069 -0.1299
Tl 1.7903 -0.7240 2.7188
Tl 0.7069 3.1790 0.1299
Tl 2.9320 5.4463 -1.8598
Tl 3.9983 2.9320 1.8598
Tl 4.0154 1.5433 4.7086
Tl 0.7240 1.7903 6.4385
Tl -1.5433 4.0154 4.4487
Zn 4.7223 0.0000 2.2893
```

3.
# Ca7Cl
Computed X-ray diffraction stick pattern, λ = 1.5418 Å (Cu Kα). Input: a DFT-relaxed cell (PBE, Alexandria).
Intensities are scaled so that the largest is 100.

Peak list (9 most intense, 15° ≤ 2θ ≤ 90°, in order of falling intensity)
| 2theta | intensity |
| --- | --- |
| 28.52 | 100 |
| 33.05 | 49 |
| 56.29 | 37 |
| 47.44 | 32 |
| 76.62 | 14 |
| 78.99 | 12 |
| 59.03 | 11 |
| 88.33 | 9 |
| 69.35 | 5 |

Atomic structure:
```
8
Lattice="0.0000 5.4205 5.4205 5.4205 0.0000 5.4205 5.4205 5.4205 0.0000" Properties=species:S:1:pos:R:3 pbc="T T T"
Ca 0.0000 0.0000 0.0000
Ca 2.7103 2.7103 0.0000
Ca 2.7103 0.0000 2.7103
Ca 5.4205 2.7103 2.7103
Ca 0.0000 2.7103 2.7103
Ca 2.7103 5.4205 2.7103
Ca 2.7103 2.7103 5.4205
Cl 5.4205 5.4205 5.4205
```

4.
# Rb2SrPu2O7
Computed X-ray diffraction stick pattern, λ = 1.5418 Å (Cu Kα). Input: a DFT-relaxed cell (PBE, Alexandria).
Intensities are scaled so that the largest is 100.

Peak list (10 most intense, 15° ≤ 2θ ≤ 90°, in order of falling intensity)
| 2theta | intensity |
| --- | --- |
| 28.47 | 100 |
| 29.13 | 54 |
| 51.24 | 41 |
____________

【导师】 汪汉斌;

【作者基本信息】 南京师范大学 , 诉讼法学, 2011, 硕士

【摘要】 我国《行政诉讼法》第50条规定:“人民法院审理行政案件,不适用调解。”,确立了我国行政诉讼不适用调解的原则。这是由当时特殊时代环境决定的,随着社会的发展和法治进程的不断深入,在审判实践中,出现大量通过协调撤诉解决的案例,形成了行政诉讼不正常的“调解亚文化”。与其让行政诉讼的审判规避法律,无视法律的权威,笔者认为不如将行政诉讼调解制度明确规定,借鉴域外相关立法与司法实践经验,同时结合我国的法治背景、现实国情,系统构建我国的行政诉讼调解制度,真正做到有法可依、有法必依,有效保护行政相对人合法权利、促进行政主体依法行政。本文除前言和结语外,共分四部分。第一部分详细阐述了行政诉讼调解制度的一般原理。主要探讨行政诉讼调解的含义、特征、性质、与相关概念的比较分析以及行政诉讼调解制度的意义。第二部分比较分析了域外行政诉讼调解相关制度的立法理论与司法实践。本部分比较研究了大陆法系和英美法系的几个主要代表国家以及我国台湾地区的行政诉讼调解相关制度的立法理论与司法实践。第三部分从立法、司法与理论三个方面检讨了我国行政诉讼调解制度的现状。第四部分是关于我国行政诉讼调解制度构建的思考。这是本文的重点。本部分系统阐述了我国构建行政诉讼调解制度的基础、应适用的原则、适用范围、程序规制、成功的调解的效力以及调解协议无效时对当事人的救济方式。总之,修改现行《行政诉讼法》,将行政诉讼调解制度正式纳入法律文本势在必行,惟有如此,才能更好地限制行政权力的滥用,提高行政效率,节约司法资源,保护行政相对人的合法权益。

【Abstract】 "Administrative Procedure Law" Article 50:"People’s Court an administrative case does not apply mediation, established the principle of administrative proceedings not applying the mediation. This is determined by the special time and environment, along with the process of social development and the deepening of the rule of law in trial practice, a large number of cases resolved through the coordination of withdrawal, the formation of the administrative proceedings are not normal "mediation sub-culture. " Administrative proceedings rather than allowing the trial to circumvent the law, ignoring the authority of the law, I believe that it would be better defined administrative mediation system, drawing on extra-territorial legislation and judicial practice related experience, combined with the background of the rule of law, current conditions, system construction of China’s Administrative Litigation Mediation System, and ensure that there are laws to go by, effectively protect the legitimate rights of the administrative counterpart to promote the administrative body according to law.In addition to this introduction and the conclusion, this paper is divided into four parts.The first part described in detail the general principles of Administrative Litigation Mediation. The first part is to investigate the meaning of mediation, character, nature, and related concepts and comparative analysis of the significance of administrative litigation mediation system. The second part comparatively analyzed the extra-territorial administrative proceedings related to the Legislation Mediation Theory and Practice. This part of the comparative study of civil law and common law countries and representatives of several major administrative region of China in Taiwan related to the Legislation Mediation Theory and Practice. The third part reviewed the status of administrative proceedings mediation system from the legislative, judicial review and theoretical. The fourth part is about the Administrative Litigation Mediation Construction. This is the focus of this article. This section describes the basis to establish the system of administrative litigation mediation, the principles to be applied, scope, procedures, regulations, the effect of successful mediation, the remedies of the parties when the mediation agreement is invalid.In short, to amend the "Administrative Procedure Law", formally incorporated Administrative Litigation Mediation into the text of the law is imperative, only so can better limit the abuse of executive power, Improve administrative efficiency, conserve judicial resources and Protect the legitimate interests of the administrative counterpart.

  • 【分类号】D925.3
  • 【被引频次】1
  • 【下载频次】154

